### Wanted
Restate only the lines further below with the word "with" in them.

### Input
=====
Record 1
Structure and calculated PXRD pattern of Ba2YSbO6 (a crystal structure in the Materials Project, relaxed with PBE; copper Kα).

Cell and atoms:
```
data_Ba2YSbO6
_space_group_name_H-M_alt 'F m -3 m'
_space_group_IT_number 225
_space_group_name_Hall '-F 4 2 3'
_cell_length_a 8.530
_cell_length_b 8.530
_cell_length_c 8.530
_cell_angle_alpha 90.00
_cell_angle_beta 90.00
_cell_angle_gamma 90.00
loop_
_atom_site_label
_atom_site_type_symbol
_atom_site_fract_x
_atom_site_fract_y
_atom_site_fract_z
Ba1 Ba 0.250 0.250 0.250
Y1 Y 0.000 0.000 0.000
Sb1 Sb 0.000 0.000 0.500
O1 O 0.000 0.000 0.263
```

Principal peaks in the range 2θ from 10° to 80°, in order of rising 2θ:
2theta	intensity	hkl
18.01	2	1 1 1
29.62	100	2 2 0
36.49	4	2 2 2
42.38	31	4 0 0
52.56	40	4 2 2
61.49	19	4 4 0
69.72	18	6 2 0
77.53	6	4 4 4

---

Record 2
Structure and calculated PXRD pattern of Ba2YSbO6 (a crystal structure in the Materials Project, relaxed with PBE; copper Kα).

Cell and atoms:
```
data_Ba2YSbO6
_space_group_name_H-M_alt 'P n -3'
_space_group_IT_number 201
_cell_length_a 8.525
_cell_length_b 8.525
_cell_length_c 8.525
_cell_angle_alpha 90.00
_cell_angle_beta 90.00
_cell_angle_gamma 90.00
loop_
_space_group_symop_operation_xyz
'x,y,z'
'-x,-y,-z'
'-x+1/2,-y+1/2,z'
'x+1/2,y+1/2,-z'
'x,-y+1/2,-z+1/2'
'-x,y+1/2,z+1/2'
'-x+1/2,y,-z+1/2'
'x+1/2,-y,z+1/2'
'z,x,y'
'-z,-x,-y'
'z,-x+1/2,-y+1/2'
'-z,x+1/2,y+1/2'
'-z+1/2,x,-y+1/2'
'z+1/2,-x,y+1/2'
'-z+1/2,-x+1/2,y'
'z+1/2,x+1/2,-y'
'y,z,x'
'-y,-z,-x'
'-y+1/2,z,-x+1/2'
'y+1/2,-z,x+1/2'
'-y+1/2,-z+1/2,x'
'y+1/2,z+1/2,-x'
'y,-z+1/2,-x+1/2'
'-y,z+1/2,x+1/2'
loop_
_atom_site_label
_atom_site_type_symbol
_atom_site_fract_x
_atom_site_fract_y
_atom_site_fract_z
Ba1 Ba 0.250 0.250 0.250
Ba2 Ba 0.250 0.250 0.750
Y1 Y 0.000 0.000 0.000
Sb1 Sb 0.000 0.000 0.500
O1 O 0.007 0.508 0.764
```

Principal peaks in the range 2θ from 10° to 80°, in order of rising 2θ:
2theta	intensity	hkl
18.02	2	1 1 1
29.64	100	2 2 0
36.51	4	2 2 2
42.41	31	4 0 0
52.60	40	4 2 2
61.54	19	4 4 0
69.77	18	6 2 0
77.59	6	4 4 4

---

Record 3
Structure and calculated PXRD pattern of Ba2YSb3O8 (a crystal structure in the Materials Project, relaxed with PBE; copper Kα).

Cell and atoms:
```
data_Ba2YSb3O8
_space_group_name_H-M_alt 'P 4/m m m'
_space_group_IT_number 123
_space_group_name_Hall '-P 4 2'
_cell_length_a 4.371
_cell_length_b 4.371
_cell_length_c 12.150
_cell_angle_alpha 90.00
_cell_angle_beta 90.00
_cell_angle_gamma 90.00
loop_
_atom_site_label
_atom_site_type_symbol
_atom_site_fract_x
_atom_site_fract_y
_atom_site_fract_z
Ba1 Ba 0.000 0.000 0.164
Y1 Y 0.000 0.000 0.500
Sb1 Sb 0.500 0.500 0.000
Sb2 Sb 0.500 0.500 0.362
O1 O 0.000 0.500 0.000
O2 O 0.000 0.500 0.382
O3 O 0.500 0.500 0.190
```

Principal peaks in the range 2θ from 10° to 80°, in order of rising 2θ:
2theta	intensity	hkl
28.89	55	1 1 0
30.08	100	1 0 3
41.31	35	2 0 0
51.94	43	2 1 3
54.15	16	1 1 6
59.84	11	2 2 0
62.53	11	2 0 6
67.79	10	3 1 0

---

Record 4
Structure and calculated PXRD pattern of Ba3ZnSb2O9 (a crystal structure in the Materials Project, relaxed with PBE; copper Kα).

Cell and atoms:
```
data_Ba3ZnSb2O9
_space_group_name_H-M_alt 'P 63/m m c'
_space_group_IT_number 194
_space_group_name_Hall '-P 6c 2c'
_cell_length_a 5.9457
_cell_length_b 5.9457
_cell_length_c 14.6753
_cell_angle_alpha 90.00
_cell_angle_beta 90.00
_cell_angle_gamma 120.00
loop_
_atom_site_label
_atom_site_type_symbol
_atom_site_fract_x
_atom_site_fract_y
_atom_site_fract_z
Ba1 Ba 0.0000 0.0000 0.2500
Ba2 Ba 0.3333 0.6667 0.0892
Zn1 Zn 0.0000 0.0000 0.0000
Sb1 Sb 0.3333 0.6667 0.6516
O1 O 0.0369 0.5184 0.7500
O2 O 0.1691 0.3382 0.5844
```

Principal peaks in the range 2θ from 10° to 80°, in order of rising 2θ:
2theta	intensity	hkl
25.11	15	1 0 3
29.90	59	1 0 4
30.06	100	1 1 0
35.20	21	1 0 5
39.56	14	2 0 3
42.91	35	2 0 4
53.33	43	3 0 0
62.48	19	2 2 0

---

Record 5
Structure and calculated PXRD pattern of BaZnSb4O8 (a crystal structure in the Materials Project, relaxed with PBE; copper Kα).
=====

### Outcome
Structure and calculated PXRD pattern of Ba2YSbO6 (a crystal structure in the Materials Project, relaxed with PBE; copper Kα).
Structure and calculated PXRD pattern of Ba2YSbO6 (a crystal structure in the Materials Project, relaxed with PBE; copper Kα).
Structure and calculated PXRD pattern of Ba2YSb3O8 (a crystal structure in the Materials Project, relaxed with PBE; copper Kα).
Structure and calculated PXRD pattern of Ba3ZnSb2O9 (a crystal structure in the Materials Project, relaxed with PBE; copper Kα).
Structure and calculated PXRD pattern of BaZnSb4O8 (a crystal structure in the Materials Project, relaxed with PBE; copper Kα).